View Full Version : Just an IDLE THOUGHT

Danni Bear
11-17-2010, 02:05 AM
Sitting here reading all the posts and replies and an idle thought caught me.

As crossdressers all,some who feel more fem than others. How many think that their crossdressing is more female to male rather than male to female?

We all at times need to be one or the other(this does not necessarily mean the 24/7 or transitioning/transitioned sisters) how do you see yourself in this?


11-17-2010, 03:37 AM
As this was posted in the MTF forum, I had to read it twice before understanding where your "idle thought" was coming from.

In the context of your post, I would consider myself MTF, being very much a man, but one who likes to express the feminine side (which I believe is inside all men to some extent) by wearing female attire and make-up.

I suppose there are those genetic males who feel that they are females trapped in a male body, so could consider that they are actually CD'ing FTM when in drab.

Joanne f
11-17-2010, 05:46 AM
When i wear a skirt or dress i do not see myself as cross dressing ,i never have but i realise that society see`s me as doing that which seams sort of weird to me and i cannot really say that i think about it when i do wear all male clothes , it is more of an internal fight of what i want to wear more than considering whether i am cross dressing or not .

Kate Simmons
11-17-2010, 06:55 AM
Well Danni, when we mainly concentrate on just being ourselves gender doesn't really come into the picture that much. We just enhance things sometimes according to our feelings at the time.:)

Michelle James
11-17-2010, 11:45 AM
I have been thnking about this alot lately. It used to be that when i put on female clothes I considered that to be crossdressing. I believe that I am now about half way up the scale to thinking that when dressed in male mode that is when I am cressdressing. Hope that makes sense.

11-17-2010, 11:49 AM
When I wear feminine garments I still feel the same way as when I am in drab. I have no detached "female" side.

I wear male clothes most of the time.

11-17-2010, 12:32 PM
I think the question needs to be revised. :)

I consider myself androgynous, so anything I dress in could be considered to either be cross-dressing or not cross-dressing.

I do not wear male clothes any more, and consider wearing male clothes to be "wrong" for me. (Though I guess when we get to the colder parts of winter I'll probably put on my long winter coat, which is "male" style. Survival is survival.)

11-17-2010, 12:37 PM
If I could do it without serious reprocussions I would mostly dress in "feminine" styles. Blue jeans or slacks would be very very rare to see me in. But unfortunately all you need to do is look at the responses in the transgendered judge article and you will see, we are still stuck in a morass of stupidity and ignorance.

I much like Sandra-Leigh, like an androgynous look. Neither fully male, nor fully female.

Misty G
11-17-2010, 12:45 PM
I don't think I ever consider myself crossdressed as I very rarely am completly male. However if I was to consider myself crossdressed it would more than likely be when I am dressed totaly male.

Alice B
11-17-2010, 02:50 PM
I would have to say that Nomad Rachael's answer pretty much fits me. I am MTF and love both my male and female sides.

11-17-2010, 03:15 PM
An interesting question Danni.
It’s like this for me. When I am Suzy I am all women. When dressed as a man I am all man but Suzy sort of creeps in sometimes.
To much for me to figure out so I just go with it and have fun.

Hugs, SUZY

Rianna Humble
11-17-2010, 03:43 PM
If I can cast my mind back to before I admitted to myself that I need to transition, I still see some tell-tale signs of what I think you are saying, Danni. I was staying at an hotel near work around the time that I started dressing regularly and in conversation with one of the staff (who only knew me by my boy name) I mentioned that I would need to go back to my room and "cross-dress as a man to go to work". Freudian slip? Who knows?

11-17-2010, 06:00 PM
Yes, I scratched my head a bit to see if I was reading the question right.. :) I am not one who is 24/7 or considering transition at this time. Most times I would immediately say that I'm MtF since in most cases dressing was few and inbetween so my male side would be all over my daily activities. IF dressing occurs more often in a given month, then some Fem thought processes would be in some of my daily routines as I would think of my last dressing moment in preparations for my next.

Now, I would not jump at saying MtF so quickly as I do notice a sense of Fem thoughts/mannerism in part of each day. Sometimes suttle, sometimes its right there. Even in the dealings with my two daughters.. I am playing both roles as to ensure they understand a Mom and Dad's view when it comes to offering advice, this is mainly due to their mother not being in their life as much.

So yes I have had some confusing thoughts when using the old line "some day you will understand the feelings of a father (mother..uhh..father..moth..anyway)"


Nicole Erin
11-17-2010, 07:52 PM
I spend my entire day as Erin. Made up, bra, pretty shoes...

I can hardly wait to get home each day and throw on my tee and shorts with these horrid but comfy sandals. And OFF with the bra!

Where does that put me?

Danni Bear
11-17-2010, 08:05 PM
That just puts you as being Human.


11-17-2010, 08:12 PM
Great question Danni,

My current modus operandi is that every now and again I have got to stay away from home for a few days on work, and have stayed at a serviced apartment rather than a hotel. On arrival I have become Kaz and filled all the drawers and wardrobe with Kaz's clothes. I then have an "area" where I have put the clothes I am going to wear for "work".

I wake up as Kaz... I even wear my make-up in bed so I can wake-up and see her in the morning when I wake up... I then go through a process of having to become this other person to go to work and I just wish i could be Kaz and just get on with it. But I "cross-dress" into this male persona, do a day's work, then go back to mey apartment where I immediately jetison the male and become Kaz again.

The hardest part is the morning of the day I go back home. I have to jetison Kaz... and I leave it to the last minute, and I am late for work, and I don't quite pack properly, so when I get back home I have problems "sorting" things out.

Going from K to Kaz is easy... going from Kaz to K is sooooo hard?

So to answer your question... yeah... sometimes I am Kaz and I crossdress as a guy. Maybe this is where I am heading!


11-17-2010, 09:39 PM
I am a Male, as are the CD's on this forum! Some of those CD's have already transitioned and some others are in the process. Obviously their response to the question would be different than what the rest of would say. Some others may not want to transition, but do want to look, feel, and act as womanly as possible as ofetn as possible. The response from them would also be different.

My own response is this! I have been a male since birth, and always will be! I have no desire to be a woman! I just like to wear feminine clothes, as I am while I write this. But wearing them does not change me in any way! I am still a man, under the satin and lace!

Suzette Muguet de Mai
11-17-2010, 10:34 PM
I am not sure of the question but for me I love going MTF. I do not like going back to male. I feel completely different when dressed as a female and love it. My gestures, thoughts differ and I feel free and open when in female mode. I hate going back to male mode because I feel obliged to behave in a particular way. When I am in male mode it feels like going into a small room with no windows or paintings and all walls and floor and ceiling are of the same colour, I become someone who just exists without choice.

11-17-2010, 11:40 PM
i do not even think along the lines of f-m or m-f. just as me. i have two sides of who and what i am. (maybe even more?). so i just try to be the best i can no mater how i am at that time.
yes i was born male. will die male....but due to something that has happened to me this year, i some times think why not change a bit of the body to fit one gender better than as born.

Rianna Humble
11-18-2010, 01:03 AM
When I am in male mode it feels like going into a small room with no windows or paintings and all walls and floor and ceiling are of the same colour, I become someone who just exists without choice.

Don't they call that the bathroom? :heehee:


11-18-2010, 01:12 AM
I guess as a genetic female and having had the option to wear all the things a woman wears when I want, I don't see the attraction to wearing all the foo foo stuff that you guys enjoy wearing. Bras, hose, and heels are the most uncomfortable articles of clothing I have ever worn. It takes someone dying for me to come out of my jeans, baggy sweaters and tennis shoes to don heels and hose. I always wished I had been one of these tiny busted girls who could put on a tank top w/no bra and run around as free as men who don't have that issue.

Rianna Humble
11-18-2010, 03:48 AM
I think that it is great that there is such diversity in what women can / want to wear. A couple of the other girls I work with are like Wsprs and prefer trousers or jeans (on casual dress days) and flats. One or two wear flat shoes and bras and our manager wouldn't be seen dead without a pair of heels. By our dress code, if we wear a skirt or dress that is above the knee, we have to wear (preferably opaque) stockings. I'm pretty sure the dress-code must have been written mainly by men since it outlaws leggings on formal dress days.

11-18-2010, 10:44 AM

Your post reminds me of many I have heard, and I must admit I don't like a notion that is in it. That notion is.

"I have this choice and frankly I dislike this style or that style, and see no reason any male should like it, cause I don't"

Now I know you may not think that way, but that is often what I have seen on fashion forums out in the interweb.

I don't see how women can like jeans when they have leggings to wear. Jeans drag along the legs, where leggings move with the wearer. Skirts are just plain nice to wear, and I will say this, hose with skirts is far more cooler on hot days than jeans ( provided there is airflow).

Sexist dress codes should also be banned. If a company puts up a code of how people should dress, and that uniform is worn for more than 6 hours a day, then there should be no gender restrictions at all. In my opinion.

11-18-2010, 11:20 AM
Interesting day for me to read this thread. Today is the first time in over a month that I've been fully dressed en femme. I have been feeling less and less femme everytime I dress and beginning to feel more and more like me. The sexual thrill of dressing pasted years ago, yet I continue to dress. For a long time I couldn't figure out why, if there was no sexual thrill. I've done away with the form/pads thing around a year ago, this is when I noticed I feel more like me. It's no longer MTF, rather it's become M&F... and I'm much happier for that.

11-18-2010, 03:42 PM

Your post reminds me of many I have heard, and I must admit I don't like a notion that is in it. That notion is.

"I have this choice and frankly I dislike this style or that style, and see no reason any male should like it, cause I don't"

Now I know you may not think that way, but that is often what I have seen on fashion forums out in the interweb.

I don't see how women can like jeans when they have leggings to wear. Jeans drag along the legs, where leggings move with the wearer. Skirts are just plain nice to wear, and I will say this, hose with skirts is far more cooler on hot days than jeans ( provided there is airflow).

Misplaced calculated molecules:
/*
(1)
DFT (ωB97M-V/def2-TZVPD) results for C22H12F18N2O6S2Ta as an isolated structure.

The geometry in XYZ format:
```
63
Properties=species:S:1:pos:R:3:forces:R:3
F -2.193 -3.607 -1.793 0.00 0.00 0.01
N 0.372 -0.329 -0.045 0.23 -0.16 -0.04
F 0.582 -0.110 -3.287 0.02 -0.01 -0.03
F -3.033 -2.220 -3.228 0.00 0.00 0.00
H 2.793 -1.309 0.512 0.01 0.00 0.00
C 2.261 -3.707 -1.805 0.01 -0.01 0.00
C -0.622 -0.652 -3.466 -0.07 -0.03 0.10
C 1.006 -3.283 -2.234 0.04 -0.01 0.02
C 0.744 2.610 -0.625 -0.16 0.16 0.02
O -2.269 2.579 3.159 0.02 -0.04 -0.05
C 1.347 1.880 0.582 -0.04 0.06 -0.05
H 3.873 -3.251 -0.475 0.00 0.01 0.01
F 2.249 1.469 -2.022 -0.02 0.02 0.01
C 0.177 4.017 -0.226 0.06 -0.02 -0.11
F -1.507 0.364 -3.415 -0.06 -0.04 -0.08
Ta -1.318 0.513 -0.351 -0.03 0.05 0.62
C 2.884 -2.969 -0.814 0.01 -0.02 0.00
H 3.820 -5.185 -1.900 0.00 0.00 0.00
F -3.690 -1.358 0.774 -0.14 0.01 -0.06
C 1.502 -0.009 2.084 0.00 0.00 -0.03
H 1.243 -1.036 2.306 0.00 0.00 0.01
F -5.800 -1.121 1.241 -0.02 0.03 0.05
S -2.692 1.347 2.613 -0.12 0.04 0.03
S -4.540 1.067 0.540 -0.06 0.03 0.10
O -5.708 1.752 0.152 0.08 0.00 -0.01
O -0.430 1.979 -1.120 -0.12 -0.06 0.14
F -1.478 0.024 4.451 -0.04 -0.01 0.02
C 2.135 2.600 1.480 0.00 -0.03 0.04
C 2.916 -4.904 -2.435 -0.02 0.03 -0.01
H 4.094 2.249 4.197 0.01 0.00 0.00
C 0.364 -2.184 -1.685 -0.08 0.06 0.00
C -4.843 -0.755 0.426 0.19 -0.01 -0.13
H 2.388 3.627 1.267 -0.01 0.00 -0.01
C -1.902 -2.796 -2.811 -0.03 0.02 0.03
C -0.934 -1.687 -2.312 0.08 -0.06 -0.05
O -3.347 1.221 -0.352 0.01 -0.11 -0.04
F 1.234 3.174 -2.887 0.01 -0.01 0.01
F 1.113 4.907 0.091 -0.07 -0.03 0.03
F -3.557 0.462 4.892 -0.02 0.04 0.01
N -4.131 1.303 2.032 0.07 -0.02 -0.11
F 2.800 3.469 -1.419 0.01 0.01 0.00
H 2.560 0.298 3.910 0.00 0.00 0.00
F -1.424 -3.529 -3.811 0.00 -0.01 0.00
H 2.240 -5.759 -2.442 0.00 0.00 0.00
C 1.774 2.695 -1.774 0.01 -0.05 -0.04
C 3.413 2.874 3.622 -0.02 -0.01 -0.01
C 1.000 -1.469 -0.645 -0.07 -0.10 -0.08
F -3.055 -1.091 3.468 -0.01 0.02 0.01
C 2.599 2.050 2.666 0.02 0.02 0.02
H 0.539 -3.831 -3.038 -0.01 0.01 0.00
F -5.135 -1.059 -0.821 -0.02 -0.02 0.04
C 2.266 -1.868 -0.245 0.00 0.03 0.04
H 3.188 -4.691 -3.470 0.00 -0.01 0.00
C 1.101 0.528 0.861 -0.04 -0.02 0.00
H 3.993 3.631 3.097 0.00 0.00 0.00
H 2.758 3.387 4.328 0.00 0.00 0.00
C -2.707 0.084 3.966 0.08 -0.05 -0.02
F -0.667 -1.196 -4.668 -0.01 -0.03 -0.02
C 2.243 0.738 2.972 0.01 -0.01 0.02
F -0.547 4.520 -1.218 0.04 -0.03 0.03
O -1.717 -1.011 -1.347 0.14 0.44 -0.05
O -1.694 0.710 1.661 0.04 -0.07 -0.30
F -0.634 3.846 0.834 0.05 0.02 -0.05
```
Positions in Å, forces in eV/Å.

The value obtained for the LUMO energy is -4.43 eV. The total charge is +1. The value obtained for the HOMO energy is -11.9 eV.

(2)
DFT (ωB97M-V/def2-TZVPD) results for C22H12FI2N4O9Te4W as an isolated structure at a distorted geometry.

The geometry in XYZ format:
```
55
Properties=species:S:1:pos:R:3:forces:R:3
C -1.589 -1.949 1.923 -0.12 0.21 0.21
C -4.351 1.830 0.969 0.16 -0.10 0.23
*/

Sexist dress codes should also be banned. If a company puts up a code of how people should dress, and that uniform is worn for more than 6 hours a day, then there should be no gender restrictions at all. In my opinion.

Pythos, I wasn't saying that at all...I am simply saying that I can't see how ANYONE male or female could enjoy wearing heels and hose when (to me) they are very uncomforable. But, for a woman the option to wear heels and hose are always there whereas a man has to find the opportunity and it would most likely make it more of a treat for him.

I never wear jeans in the summer. It's way too hot.

11-18-2010, 09:58 PM
That's cool. I was not fully sure. I have heard women say exactly that. Or in the case of my mother "that must be something wrong with you if you think those are comfortable" in response to my leggings. She doesn't like them, therefore I shouldn't. That is the kind of mentality I was thinking of when I read your post.

Sorry, if I made you out to be a bad player. :)

11-18-2010, 10:08 PM
Sitting here reading all the posts and replies and an idle thought caught me.

As crossdressers all,some who feel more fem than others. How many think that their crossdressing is more female to male rather than male to female?

We all at times need to be one or the other(this does not necessarily mean the 24/7 or transitioning/transitioned sisters) how do you see yourself in this?


I hope you don't mind me answering as an observer. When Christie is dressed she is much more in control and self assured than not. She is much more in charge as a female than as a male, also much more of a flirt and much more sexual and outgoing.

I really can't imagine her boy-self doing the things her girl-self does. No... not at all.

Hummm... Did I understand the question?

11-19-2010, 09:26 AM
I've done away with the form/pads thing around a year ago, this is when I noticed I feel more like me. It's no longer MTF, rather it's become M&F... and I'm much happier for that.

My outlook is when I dress it is also M&F - I don't have any forms or pads, or even wigs since my natural hair is quite long enough. I approach wearing a dress the same way as a woman might approach wearing a plaid shirt and jeans - they are just garments.

11-20-2010, 09:16 AM
That's cool. I was not fully sure. I have heard women say exactly that. Or in the case of my mother "that must be something wrong with you if you think those are comfortable" in response to my leggings. She doesn't like them, therefore I shouldn't. That is the kind of mentality I was thinking of when I read your post.

Sorry, if I made you out to be a bad player. :)

No worries. It's so easy to lose tone and intent in the written word and things are easily misconstrued.

11-20-2010, 10:04 AM
I guess for me it would be MTF. I am just a regular guy on the inside, With all the typical male hormones, mannerisms and brainwaves. It just happens that I like to dress in womens clothes.

Kinda like when a GG would buy mens jeans because she likes them better. Only difference is she can get away with wearing them on mainstreet USA.

Whereas, If I were to go out in the clothes that I prefer, I would be laughed at, pointed at, and the talk would start behind my back.

11-20-2010, 10:44 AM
mine is male to female. I have a very strong masculine side as well. When I started the journey 2 years ago, I had no idea that both male and female sides were in the closet. Michelle came out first and has a real blast. Now the male side is coming out and it the wildest of anything. I am rediscovering myself and it is almost as much fun as Michelle's coming out.

5150 Girl
11-20-2010, 02:53 PM
Well, I'm not totaly sure I'm ansering the question that was asked, but,
I dress as often as I can, because I belive in my heart and soul, I am a woman.